Dynamic load of object file to execute - c++

Next to the entry, the page also holds calculated crystals:
+++
Entry 1:
# YSc2HPd, optimized geometry, DFT PBE-GGA
data_YSc2HPd
_chemical_formula_sum 'Y1 Sc2 H1 Pd1'
_space_group_name_H-M_alt 'P 4/m m m'
_space_group_IT_number 123
_space_group_name_Hall '-P 4 2'
_cell_length_a 4.2679
_cell_length_b 4.2679
_cell_length_c 5.0263
_cell_angle_alpha 90.00
_cell_angle_beta 90.00
_cell_angle_gamma 90.00
loop_
_atom_site_label
_atom_site_type_symbol
_atom_site_fract_x
_atom_site_fract_y
_atom_site_fract_z
Y1 Y 0.0000 0.0000 0.0000
Sc1 Sc 0.0000 0.5000 0.5000
H1 H 0.0000 0.0000 0.5000
Pd1 Pd 0.5000 0.5000 0.0000
# * energy: -5.914 eV per atom
# * calculated volume: 18.31 A^3/atom
# * Fermi-level density of states: 4.83 states/eV/cell
# * total magnetization: 0.3029 μB per atom

---

Entry 2:
# Mg2TiIr, optimized geometry, DFT PBE-GGA
data_Mg2TiIr
_chemical_formula_sum 'Mg8 Ti4 Ir4'
_space_group_name_H-M_alt 'F m -3 m'
_space_group_IT_number 225
_space_group_name_Hall '-F 4 2 3'
_cell_length_a 6.4110
_cell_length_b 6.4110
_cell_length_c 6.4110
_cell_angle_alpha 90.00
_cell_angle_beta 90.00
_cell_angle_gamma 90.00
loop_
_atom_site_label
_atom_site_type_symbol
_atom_site_fract_x
_atom_site_fract_y
_atom_site_fract_z
Mg1 Mg 0.2500 0.2500 0.2500
Ti1 Ti 0.0000 0.0000 0.0000
Ir1 Ir 0.0000 0.0000 0.5000
# * calculated volume: 16.47 A^3/atom
# * Fermi-level density of states: 10.04 states/eV/cell
# * polymorph energy (0 for the lowest one): 0.00 eV/f.u.
# * total magnetization: 0.0000 μB per atom

---

Entry 3:
# Mg3CrS, optimized geometry, DFT PBE-GGA
data_Mg3CrS
_chemical_formula_sum 'Mg3 Cr1 S1'
_space_group_name_H-M_alt 'P m -3 m'
_space_group_IT_number 221
_space_group_name_Hall '-P 4 2 3'
_cell_length_a 5.1726
_cell_length_b 5.1726
_cell_length_c 5.1726
_cell_angle_alpha 90.00
_cell_angle_beta 90.00
_cell_angle_gamma 90.00
loop_
_atom_site_label
_atom_site_type_symbol
_atom_site_fract_x
_atom_site_fract_y
_atom_site_fract_z
Mg1 Mg 0.0000 0.0000 0.5000
Cr1 Cr 0.0000 0.0000 0.0000
S1 S 0.5000 0.5000 0.5000
# * calculated volume: 27.68 A^3/atom
# * E_form (uncorrected): 0.79 eV/atom
# * Fermi-level density of states: 4.22 states/eV/cell
# * polymorph energy (0 for the lowest one): 3.09 eV/f.u.
# * total magnetization: 0.9354 μB per atom

---

Entry 4:
# K3Ag3PbBr8, optimized geometry, DFT PBE-GGA
data_K3Ag3PbBr8
_chemical_formula_sum 'K6 Ag6 Pb2 Br16'
_space_group_name_H-M_alt 'C 1 2/m 1'
_space_group_IT_number 12
_cell_length_a 15.2539
_cell_length_b 8.6035
_cell_length_c 8.9657
_cell_angle_alpha 90.00
_cell_angle_beta 123.68
_cell_angle_gamma 90.00
loop_
_space_group_symop_operation_xyz
'x,y,z'
'-x,-y,-z'
'-x,y,-z'
'x,-y,z'
'x+1/2,y+1/2,z'
'-x+1/2,-y+1/2,-z'
'-x+1/2,y+1/2,-z'
'x+1/2,-y+1/2,z'
loop_
_atom_site_label
_atom_site_type_symbol
_atom_site_fract_x
_atom_site_fract_y
_atom_site_fract_z
K1 K 0.0000 0.0000 0.0000
K2 K 0.2500 0.2500 0.0000
Ag1 Ag 0.0000 0.5000 0.5000
Ag2 Ag 0.2500 0.2500 0.5000
Pb1 Pb 0.0000 0.0000 0.5000
Br1 Br 0.0082 0.2607 0.2770
Br2 Br 0.2418 0.0000 0.7134
Br3 Br 0.2415 0.5000 0.7094
+++

I was wondering what are the steps to load an object file (generated from a single source file by the the msvc compiler), load it in memory of my program already running (in a buffer for example) and then run the code inside it.
The use case is that I have a large program which take a minute to load and wanted to do real time modifications from source code. Like just load the object file, fix some addresses in this object file, use the -hotpatch function to intercept call in my already running process and redirect to my object file.
Seems to me that I should just resolve the import table of the object file to point to my already loaded programs and intercept the call of the functions which have been modified.
Am I missing something ? I would like to ask before trying it to not waste time on something that may be impossible !
Thanks !

**Someone pasted records of crystals at this point:**
The following is a DFT calculation (PBE-GGA) of a geometry-optimized Tm2Tl8Ir structure.

a = 4.757 Å, b = 4.757 Å, c = 12.294 Å
α = 90.00°, β = 90.00°, γ = 90.00°
Atoms (fractional coordinates):
Tm 0.000 0.000 0.195
Tm 0.000 0.000 0.805
Tl 0.000 0.500 0.000
Tl 0.000 0.500 0.373
Tl 0.000 0.500 0.627
Tl 0.500 0.000 0.000
Tl 0.500 0.000 0.373
Tl 0.500 0.000 0.627
Tl 0.500 0.500 0.187
Tl 0.500 0.500 0.813
Ir 0.000 0.000 0.500

Properties
size of the total moment = 0.001 μB per atom
mass density = 12925 kg/m3
total energy = -3.40 eV per atom
SG = No. 123

***

The following is a DFT calculation (PBE-GGA) of a geometry-optimized PrHfNO structure.

a = 6.697 Å, b = 7.702 Å, c = 5.182 Å
α = 90.00°, β = 90.00°, γ = 90.00°
Atoms (fractional coordinates):
Pr 0.058 0.125 0.000
Pr 0.442 0.125 0.500
Pr 0.558 0.875 0.000
Pr 0.942 0.875 0.500
Hf 0.098 0.626 0.990
Hf 0.402 0.626 0.490
Hf 0.598 0.374 0.990
Hf 0.902 0.374 0.490
N 0.098 0.573 0.594
N 0.402 0.573 0.094
N 0.598 0.427 0.594
N 0.902 0.427 0.094
O 0.090 0.166 0.487
O 0.410 0.166 0.987
O 0.590 0.834 0.487
O 0.910 0.834 0.987

Properties
size of the total moment = 0.001 μB per atom
mass density = 8683 kg/m3
total energy = -9.00 eV per atom
energy above the most stable polymorph in this dataset = 0 meV/atom
SG = No. 29

***

The following is a DFT calculation (PBE-GGA) of a geometry-optimized BaTaAsO structure.

a = 3.890 Å, b = 6.859 Å, c = 7.228 Å
α = 90.00°, β = 90.00°, γ = 90.00°
Atoms (fractional coordinates):
Ba 0.000 0.210 0.000
Ba 0.000 0.790 0.500
Ta 0.500 0.255 0.464
Ta 0.500 0.745 0.964
As 0.500 0.481 0.730
As 0.500 0.519 0.230
O 0.000 0.185 0.450
O 0.000 0.815 0.950

Properties
size of the total moment = 0.001 μB per atom
mass density = 7047 kg/m3
total energy = -7.08 eV per atom
energy above the most stable polymorph in this dataset = 28 meV/atom
SG = No. 26

=====

1) The following is a PBE calculation of a relaxed AlAsBr2N crystal, from Alexandria.

Cell and atoms, written as CIF:
```
data_AlAsBr2N
_chemical_formula_sum 'Al1 As1 Br2 N1'
_cell_length_a 5.973
_cell_length_b 5.973
_cell_length_c 3.666
_cell_angle_alpha 90.00
_cell_angle_beta 90.00
_cell_angle_gamma 90.00
_space_group_name_H-M_alt 'P 4/m m m'
_space_group_IT_number 123
_space_group_name_Hall '-P 4 2'
loop_
_atom_site_label
_atom_site_type_symbol
_atom_site_fract_x
_atom_site_fract_y
_atom_site_fract_z
_atom_site_occupancy
Al1 Al 0.000 0.000 0.000 1
As1 As 0.500 0.500 0.000 1
Br1 Br 0.000 0.500 0.500 1
N1 N 0.500 0.500 0.500 1
```

=====

2) The following is a PBE calculation of a relaxed AlAsBr2N crystal, from Alexandria.

Cell and atoms, written as CIF:
```
data_AlAsBr2N
_chemical_formula_sum 'Al1 As1 Br2 N1'
_cell_length_a 5.090
_cell_length_b 5.090
_cell_length_c 5.155
_cell_angle_alpha 90.00
_cell_angle_beta 90.00
_cell_angle_gamma 90.00
_space_group_name_H-M_alt 'P 4/m m m'
_space_group_IT_number 123
_space_group_name_Hall '-P 4 2'
loop_
_atom_site_label
_atom_site_type_symbol
_atom_site_fract_x
_atom_site_fract_y
**So much for the records of crystals:**

To answer the direct question (about loading and executing an obj file): this essentially amounts to re-writing a linker. Which is all but impossible.
As for (what I can figure out of) your intended usage: dynamically loading and executing an obj file wouldn't get you any closer to intercepting calls in your already running process. What you want is probably hooking. There are a lot (no, seriously, a lot) of ways to do so. Detours is the more-or-less official way to achieve this, here's a presentation of a few ways from the exotic side of the spectrum.


Do Memory Mapped Files need Mutex when they are read only?

Recently, something happened with our windows c/c++ applications.
We use a DLL to map files to page file, and our applications read these shared files through memory mapping.
Everything is OK when we just run a single instance of application.
Sometimes we get nothing(just zeros) -- but not error or exception -- from mapped memory when we run 24 instances at the same time.
It seems like that this problem happens more on a slower storage device.
If the files are stored in a slower device(say, EFS of AWS), we got this problem about 6/24 instances every time.
But if we move files to EBS of AWS, we only got this problem about 1/24 or 2/24 instances, and not every time.
I guess maybe there are some conflicts during massive accessing?
Do I need mutex for these read only files?
The mutex is just for protecting writable objects, am I right?
More information:
Everything happened INSIDE that DLL.
EXEs just use this DLL to get TRUE or FALSE.
The DLL is used to judge whether some given data belong to a certain file.
Some structs describe the data structure of files, the problem is that a certain struct just get 0 when it should not, but not every time.
I logged the parameters inside the DLL, they are passed to DLL correctly, every time.
I still don't know how and why did this happen, but I found that I can avoid this problem simply by adding a RETRY to that judge function.
I still think this problem is a kind of I/O problem because RETRY can avoid this, but I have no more evidences.
And, maybe the title is not very proper to this problem so I think it's time to close it.
Finally, I figured it out.
This is NOT a memory mapped file problem, it is a LOGICAL problem.
Our DLL has not enough authority, so when we shared our data into memory, NOBODY can see them!
And our applications are designed to load data themselves if they can not find any shared data, so the difference of EFS and EBS happens!
These applications are very old, no documents left, and nobody knows how they are working, so I had to dig information from source code ...

A Function in an application(.exe) should be called only once regardless of how many times I run the same application

Suppose there are two functions, one to print "hello" and other to print "world" and I call these two functions inside the main function. Now, when I compile it will create a .exe file. When I run this .exe for the first time both functions will print "hello world".This .exe is terminated.
But if I run the same .exe for the second time or multiple times, only one function must execute ie. it should print only "world". I want to a piece of code or function that should only run once and after that, it should destroy itself and should be not be executed again regardless of how many times I run the application(.exe)
I can achieve this by accessing locally or windows registry and write some value for once and can check if that value is present, no need to execute this piece of code or function.
Can I achieve it without any external help that the application itself should be capable of performing this behaviour?
Any ideas are appreciated. thanks for reading
There is no coherent or portable way1 to do this from software without requiring the use of an external resource of some kind.
The issue is that you want the invocation of this process to be aware of the amount of times it has been executed, but the amount of times it has been executed is not a property that is recorded anywhere2. A program itself has no memory of its previous executions unless you program it do so.
Your best bet is to write out this information in some canonicalized location so that it can be read on later executions. This could be as a file in the filesystem (such as a hidden .firstrun file or something), or it could be through the registry (Windows specific), or some other environment-specific form of communication.
The main thing is that this must persist between executions and be available to your process.
1 You could potentially write code that overwrites the executable itself after the first invocation -- but this is extraordinarily brittle, and will be highly specific to the executable format. This is not an ideal nor recommended approach to solving this problem.
2 This is not a capability defined in the C or C++ standard. It's possible that there may be some specialized operating systems/flavors of linux that allow querying this -- but this is not something seen in most general-purpose operating systems. Generally the approach is communicate via an external resource.
Can I achieve it without any external help that the application itself
should be capable of performing this behaviour?
Not by any means defined by C or C++, and probably not on Windows at all.
You have to somehow, somewhere memorialize the fact that the one-time function has been called. If you have nothing but the compiled program to use for that, then the only alternative is to modify the program. Neither C nor C++ provides for live modification of the running program, much less for writing it back to the executable file containing its image.
Conceivably, if the program knows where to find or how to recreate its own source code, and if it knows how to run the compiler, then it could compile a modified version of itself. On Windows, however, it very likely could not overwrite its own executable file while it was running (though that would be possible on various other operating systems), so that would not solve the problem.
Moreover, note that any approach that involves modifying the executable would be at least a bit wonky, for different copies of the program would have their own, semi-independent idea of whether the one-time function had been run.
Basically, then, no.

fork() and free all allocated memory

I'm writing a service (i.e. background process) and want to offer starting it via a shared library. That is, someone wanting to use the service would link to the shared library, call it's start() method, which would fork and return. The fork would then run the service.
The problem with this approach is that the service process now might have a lot of legacy allocated memory it actually doesn't need. Is there a way to get rid of that and have the forked process allocate its own stuff? I know about exec() of course, but the problem with that is
that I need an executable which might not be in the location I expect it to be due to different operating system folder layouts
that I'd have to cast all potential parameters to string to pass it as program arguments to exec().
So basically, I'm looking for a way to call an arbitrary function func() with some parameters that should run in a new process, and everything not passed into that function shouldn't be in the new process. Is there a way to achieve this or something similar?
This is an interesting question that I sadly don't have a good answer for. I doubt any cleanup strategies like sbrk+close+munmap will reliably allow any libc based code to continue to function, so I'd try to make exec'ing better:
For any kind of exec based solution, you should be able to deep-copy data into shm to pass non-strings. This should take care of your second problem.
Here are some wild suggestions for your first issue:
Don't: just require that an executable is in PATH or a compile-time directory.
This is transparent and follows the UNIX philosophy. An error message Can't find myhelper in PATH will not slow anyone down. Most tools depending on helper executables do this, and it's fine.
Make your library executable, and use that as your exec target. You can try finding its name with some kind of introspection, perhaps /proc/self/maps or whatever glibc offers.
Like above, but exec python or something you can be reasonably sure exists, and use a foreign pointer interface to run a function on your library.
As part of your build process, compile a tiny executable and include it as binary data in your library. Write it to /tmp and execute.
Out of these, I prefer the simplicity and transparency of #1, even if that's the most boring solution.

Store data in executable

I'm just curious about this for a long time.
Is it possible for an application to store some changeable data (like configurations and options) inside its own executable?
for example: is it possible to design a single executable which if a user ran, set some configurations, copied it into another PC, then the application runs by its last set config in new PC.
is this possible by any means?
Update: it seems that it's possible. then How?
Yes and no -
Yes, there's plenty of space in an executable image you can put data. You can add a pre-initialised data segment for this, say, and write the data into there; or a resource, or you can abuse some of the segment padding space to store values in. You control the linker settings so you can guarantee there will be space.
No, you probably can't do this at run-time:
Windows' caching mechanism will lock the files on disk of any executable loaded. This is so that it doesn't need to worry about writing out the data into cache if it ever needs to unload a segment - it can guarantee that it can get the same data back from the same location on disk. You may be able to get around this by running with one of the .exe load copy-to-temp flags (from CD, from Network) if the OS actually respects that, or you can write out a helper exe to temp to transfer control to, unload the original and then modify the unloaded file. (This is much easier on Linux etc. where inodes are effectively a reference count - even if they have the same default locking strategy you can copy your executable, edit the settings into the copy and then move it over the original whilst still executing.)
Virus checkers will almost certainly jump on you for this.
In general I think it's a much better idea to just write settings to the registry or somewhere and provide and import / export settings option if you think it'd be needed.
Expanding on the 'how' part -
In order to know where to write the data into your file you've got two or three options really:
Use a magic string, e.g. declare a global static variable with a known sequence at the start, e.g. "---my data here---", followed by enough empty space to store your settings in. Open the file on disk, scan it for that sequence (taking care that the scanning code doesn't actually contain the string in one piece, i.e. so you don't find the scanning code instead) - then you've found your buffer to write to. When the modified copy is executed it'll have the data already in your global static.
Understand and parse the executable header data in your binary to find the location you've used. One way would be to add a named section to your binary in the linker, e.g. a 4K section called 'mySettings' flagged it as initialised data. You can (although this is a beyond my knowledge) wire this up as an external buffer you can refer to by name in your code to read from. To write, find the section table in the executable headers, find the one called 'mySettings' and you'll have the offset in the binary that you need to modify.
Hard-code the offset of the buffer that you need to read / write. Build the file once, find the offset in a hex editor and then hard-code it into your program. Since program segments are usually rounded up to 4K you'll probably get away with the same hard-coded value through minor changes, though it may well just change underneath you.
Ya, you can do it.
It's risky.
You could screw up and make the app unrunable.
Modifying executables is something that virus and trojans tend to do.
It is likely that their virus scanner will notice, stop it, and brand you as an evil doer.
I know a little bit about evil :)
In case of windows PE files, you can write data at the end of the file. You need to know the EXE size before writing your own data so that in the 2nd writes onwards you know from which position in the exe file to start writing.
Also you can't modify the file when it's running. Your main program needs to extract and run a temporary exe somewhere so that when the main program finished, the temp exe writes configuration to the main exe file.
Yes, it's possible. You probably shouldn't do it.
Mac OS X does have the concept of "bundles" where they combine an executable and its resources into one "package" (file ending in .app), but I'm not sure it's typical for applications to modifying their own bundles, and most other operating systems don't work that way either as far as I know. It's more of a facility to store images and audio and so forth along with the code, as opposed to storing configuration data that is going to be modified when the program runs.
Modifying the executable file while it's running is a pain. The task is further complicated by any compiler optimizations your compiler may apply since it changes the structure of the program and might not allow you to have an "empty space" in which to write.
Difficult. Difficult. Difficult.
But in order to do this you basically have to read in the file into a buffer, or into another file, you can use direct fstream. However make sure you use the ios::binary flag. And append the buffer or file, I mean it's a horribly simple matter of actually appending the data. The problem lies in adding to itself.
Here's what I'd do:
first write a program to pack programs into other programs. You probably possess the knowledge already. Once you have that, have it pack itself into another program, be sure you've arranged for outside messaging or passing of arguments. Then on your main program you can simply unpack that program and pass in a link to a file you create (temporary) which you would like to append yourself with. kill your current program. Let the slave append the data and call your program again.
blam appended executable.

-- These data records were left in the article by mistake --
+++
Density functional theory data (GGA-PBE) for a relaxed AcScAgIr crystal.

Values from the calculation:
**Energy of formation from the pure elements**: -0.315 eV/atom
**DOS(E_F)**: 15.648 states/eV/cell

Geometry as POSCAR:
```
AcScAgIr
1.0
7.201 0.000 0.000
0.000 7.201 0.000
0.000 0.000 7.201
Ac Sc Ag Ir
4 4 4 4
direct
0.000 0.000 0.000 Ac
0.000 0.500 0.500 Ac
0.500 0.000 0.500 Ac
0.500 0.500 0.000 Ac
0.000 0.000 0.500 Sc
0.000 0.500 0.000 Sc
0.500 0.000 0.000 Sc
0.500 0.500 0.500 Sc
0.250 0.250 0.750 Ag
0.250 0.750 0.250 Ag
0.750 0.250 0.250 Ag
0.750 0.750 0.750 Ag
0.250 0.250 0.250 Ir
0.250 0.750 0.750 Ir
0.750 0.250 0.750 Ir
0.750 0.750 0.250 Ir
```

---

Density functional theory data (GGA-PBE) for a relaxed CaCdAu crystal.

Values from the calculation:
**Energy of formation from the pure elements**: -0.205 eV/atom
**DOS(E_F)**: 10.137 states/eV/cell

Geometry as POSCAR:
```
CaCdAu
1.0
7.043 0.000 0.000
0.000 7.043 0.000
0.000 0.000 7.043
Ca Cd Au
4 4 4
direct
0.000 0.000 0.000 Ca
0.000 0.500 0.500 Ca
0.500 0.000 0.500 Ca
0.500 0.500 0.000 Ca
0.250 0.250 0.750 Cd
0.250 0.750 0.250 Cd
0.750 0.250 0.250 Cd
0.750 0.750 0.750 Cd
0.250 0.250 0.250 Au
0.250 0.750 0.750 Au
0.750 0.250 0.750 Au
0.750 0.750 0.250 Au
```

---

- Look up the DOS(E_F) of the second one.
  10.137 states/eV/cell

---

- Which of these has the lowest energy of formation from the pure elements?
  AcScAgIr

---

- Among the records above, which one has the lowest energy of formation from the pure elements?
  AcScAgIr
+++

Dynamic binary from file

This is a little bit of weird problem here.
Say I have a C++ code, running on a specific platform. The only purpose of this code is to run files containing binary, NATIVE to that platform.
Now - my question is - HOW would I get the data from these files (could even be by bits, like 1024 bits a cycle) to the memory of machine running my code so that this data would be in the execution part?
In other words, can I get the data to somewhere where I can point the instruction pointer?
If yes, how?
I don't mind if I have to use assembler for this - just so it would work.
EDIT: Sorry, I wasn't specific enough.
Basically - the file data I want to load is in no format like .exe, Mach-O executable or ELF. It is just raw binary data (with some custom headers which my code removes). This binary data is machine code, specific and suited for the processor running on the current machine.
Technically this means I want to go around normal OS executors and load the binary directly. I could interpret it but that would be around 3x slower at best.
I would not mind at all if I need to run the data in another child process - but again, I can not use normal process openers, because the data is not in any format that the OS could run automatically (again - like .exe, Mach-O, ELF).
You should just read file to memory, mark this memory as executable (it's platform-specific, for example VirtualProtect() for Windows), and call it as function: ((void(*)())ptr)();
Of course code in file should be position-independent.
How generic does your solution need to be?
The OS loader usually knows how to handle specific file formats and how to load them into memory. You can usually use the OS loader and call the entry point, but for that you need to know what is the entry point and for that you need to understand the file format anyway. I can't think of a portable solution for that.
If you'll explain more about what you want to do maybe it will be possible to supply a solution.